Source.
<<<
A geometry-optimized SmMgS3 structure, computed with GGA-PBE.

```
SmMgS3
1.0
-6.8094 -0.5004 -0.6178
2.9160 -0.3653 6.1939
-1.4505 17.6111 1.7215
Sm Mg S
6 6 18
direct
0.0000 0.0000 0.3550 Sm
0.0000 0.0000 0.6450 Sm
0.6667 0.3333 0.6883 Sm
0.6667 0.3333 0.9783 Sm
0.3333 0.6667 0.0217 Sm
0.3333 0.6667 0.3117 Sm
0.0000 0.0000 0.1535 Mg
0.0000 0.0000 0.8465 Mg
0.6667 0.3333 0.4868 Mg
0.6667 0.3333 0.1799 Mg
0.3333 0.6667 0.8201 Mg
0.3333 0.6667 0.5132 Mg
0.9839 0.3606 0.5814 S
0.0161 0.6394 0.4186 S
0.6394 0.6234 0.5814 S
0.3606 0.3766 0.4186 S
0.3766 0.0161 0.5814 S
0.6234 0.9839 0.4186 S
0.6506 0.6939 0.9147 S
0.6827 0.9728 0.7520 S
0.3061 0.9567 0.9147 S
0.0272 0.7099 0.7520 S
0.0433 0.3494 0.9147 S
0.2901 0.3173 0.7520 S
0.3173 0.0272 0.2480 S
0.3494 0.3061 0.0853 S
0.9728 0.2901 0.2480 S
0.6939 0.0433 0.0853 S
0.7099 0.6827 0.2480 S
0.9567 0.6506 0.0853 S
```

Calculated values
Formation energy from the elements   -776 kJ/mol of formula units
E above lowest polymorph   0 meV per atom

A geometry-optimized TiMnAl structure, computed with GGA-PBE.

```
TiMnAl
1.0
-0.7540 4.6780 -1.3393
4.1235 -1.2704 2.4728
3.7974 -1.4079 -7.0555
Ti Mn Al
4 4 4
direct
0.6687 0.3343 0.5534 Ti
0.3433 0.6717 0.4250 Ti
0.3433 0.6717 0.0750 Ti
0.6687 0.3343 0.9466 Ti
0.6657 0.8328 0.7500 Mn
0.8165 0.6404 0.2500 Mn
0.8166 0.1762 0.2500 Mn
0.3501 0.1751 0.2500 Mn
0.9864 0.9932 0.4899 Al
0.9864 0.9932 0.0101 Al
0.1772 0.3447 0.7500 Al
0.1772 0.8325 0.7500 Al
```

Calculated values
Formation energy from the elements   -88 kJ/mol of formula units
Symmetry   No. 38

A geometry-optimized Mg7NbH16 structure, computed with GGA-PBE.

```
Mg7NbH16
1.0
5.6878 -3.3003 0.8373
3.6709 1.0441 5.4202
0.4511 -4.6995 4.6535
Mg Nb H
7 1 16
direct
0.0000 0.0000 0.5000 Mg
0.5000 0.0000 0.5000 Mg
0.0000 0.5000 0.5000 Mg
0.5000 0.5000 0.0000 Mg
0.0000 0.5000 0.0000 Mg
0.5000 0.0000 0.0000 Mg
0.5000 0.5000 0.5000 Mg
0.0000 0.0000 0.0000 Nb
0.8799 0.8799 0.3602 H
0.8799 0.3602 0.8799 H
0.3602 0.8799 0.8799 H
0.8799 0.8799 0.8799 H
0.1201 0.1201 0.6398 H
0.1201 0.6398 0.1201 H
0.6398 0.1201 0.1201 H
0.1201 0.1201 0.1201 H
0.6275 0.6275 0.1174 H
0.6275 0.1174 0.6275 H
0.1174 0.6275 0.6275 H
0.6275 0.6275 0.6275 H
0.3725 0.3725 0.8826 H
0.3725 0.8826 0.3725 H
0.8826 0.3725 0.3725 H
0.3725 0.3725 0.3725 H
```

Calculated values
Formation energy from the elements   -559 kJ/mol of formula units
Symmetry   No. 225

A geometry-optimized Er3Ni2 structure, computed with GGA-PBE.

```
Er3Ni2
1.0
-5.7587 -3.8168 1.8194
2.2317 -6.6328 1.4374
0.0925 -0.7017 7.1091
Er Ni
9 6
direct
0.5000 0.5000 0.5000 Er
0.2924 0.2924 0.2924 Er
0.7076 0.7076 0.7076 Er
0.8380 0.3287 0.1126 Er
0.3287 0.1126 0.8380 Er
0.1126 0.8380 0.3287 Er
0.1620 0.6713 0.8874 Er
0.6713 0.8874 0.1620 Er
0.8874 0.1620 0.6713 Er
0.4600 0.6440 0.0869 Ni
0.6440 0.0869 0.4600 Ni
0.0869 0.4600 0.6440 Ni
0.5400 0.3560 0.9131 Ni
0.3560 0.9131 0.5400 Ni
0.9131 0.5400 0.3560 Ni
```

Calculated values
Formation energy from the elements   -185 kJ/mol of formula units
Symmetry   No. 148

A geometry-optimized Na3Li2AlSi2O8 structure, computed with GGA-PBE.

```
Na3Li2AlSi2O8
1.0
7.1269 -7.4399 0.0000
7.1269 7.4399 0.0000
0.0000 0.0000 7.1538
Na Li Al Si O
12 8 4 8 32
direct
0.8773 0.8773 0.0000 Na
0.3773 0.3773 0.5000 Na
0.1227 0.1227 0.0000 Na
0.6227 0.6227 0.5000 Na
0.0976 0.4024 0.7500 Na
0.4024 0.0976 0.2500 Na
0.9024 0.5976 0.2500 Na
0.5976 0.9024 0.7500 Na
0.8658 0.1342 0.2479 Na
0.1342 0.8658 0.7521 Na
0.6342 0.3658 0.7479 Na
0.3658 0.6342 0.2521 Na
0.1630 0.6483 0.5141 Li
0.6483 0.1630 0.4859 Li
0.1483 0.6630 0.0141 Li
0.6630 0.1483 0.9859 Li
0.8370 0.3517 0.4859 Li
0.3517 0.8370 0.5141 Li
0.8517 0.3370 0.9859 Li
0.3370 0.8517 0.0141 Li
0.8381 0.8381 0.5000 Al
0.3381 0.3381 0.0000 Al
0.1619 0.1619 0.5000 Al
0.6619 0.6619 0.0000 Al
0.0981 0.9019 0.2847 Si
0.9019 0.0981 0.7153 Si
0.4019 0.5981 0.7847 Si
0.5981 0.4019 0.2153 Si
0.9045 0.5955 0.7500 Si
0.5955 0.9045 0.2500 Si
0.0955 0.4045 0.2500 Si
0.4045 0.0955 0.7500 Si
>>>

What to do.
Duplicate the calculation results further above from the line with "0.3117 Sm" to the end without additions, please.

Written answer.
0.3333 0.6667 0.3117 Sm
0.0000 0.0000 0.1535 Mg
0.0000 0.0000 0.8465 Mg
0.6667 0.3333 0.4868 Mg
0.6667 0.3333 0.1799 Mg
0.3333 0.6667 0.8201 Mg
0.3333 0.6667 0.5132 Mg
0.9839 0.3606 0.5814 S
0.0161 0.6394 0.4186 S
0.6394 0.6234 0.5814 S
0.3606 0.3766 0.4186 S
0.3766 0.0161 0.5814 S
0.6234 0.9839 0.4186 S
0.6506 0.6939 0.9147 S
0.6827 0.9728 0.7520 S
0.3061 0.9567 0.9147 S
0.0272 0.7099 0.7520 S
0.0433 0.3494 0.9147 S
0.2901 0.3173 0.7520 S
0.3173 0.0272 0.2480 S
0.3494 0.3061 0.0853 S
0.9728 0.2901 0.2480 S
0.6939 0.0433 0.0853 S
0.7099 0.6827 0.2480 S
0.9567 0.6506 0.0853 S
```

Calculated values
Formation energy from the elements   -776 kJ/mol of formula units
E above lowest polymorph   0 meV per atom

A geometry-optimized TiMnAl structure, computed with GGA-PBE.

```
TiMnAl
1.0
-0.7540 4.6780 -1.3393
4.1235 -1.2704 2.4728
3.7974 -1.4079 -7.0555
Ti Mn Al
4 4 4
direct
0.6687 0.3343 0.5534 Ti
0.3433 0.6717 0.4250 Ti
0.3433 0.6717 0.0750 Ti
0.6687 0.3343 0.9466 Ti
0.6657 0.8328 0.7500 Mn
0.8165 0.6404 0.2500 Mn
0.8166 0.1762 0.2500 Mn
0.3501 0.1751 0.2500 Mn
0.9864 0.9932 0.4899 Al
0.9864 0.9932 0.0101 Al
0.1772 0.3447 0.7500 Al
0.1772 0.8325 0.7500 Al
```

Calculated values
Formation energy from the elements   -88 kJ/mol of formula units
Symmetry   No. 38

A geometry-optimized Mg7NbH16 structure, computed with GGA-PBE.

```
Mg7NbH16
1.0
5.6878 -3.3003 0.8373
3.6709 1.0441 5.4202
0.4511 -4.6995 4.6535
Mg Nb H
7 1 16
direct
0.0000 0.0000 0.5000 Mg
0.5000 0.0000 0.5000 Mg
0.0000 0.5000 0.5000 Mg
0.5000 0.5000 0.0000 Mg
0.0000 0.5000 0.0000 Mg
0.5000 0.0000 0.0000 Mg
0.5000 0.5000 0.5000 Mg
0.0000 0.0000 0.0000 Nb
0.8799 0.8799 0.3602 H
0.8799 0.3602 0.8799 H
0.3602 0.8799 0.8799 H
0.8799 0.8799 0.8799 H
0.1201 0.1201 0.6398 H
0.1201 0.6398 0.1201 H
0.6398 0.1201 0.1201 H
0.1201 0.1201 0.1201 H
0.6275 0.6275 0.1174 H
0.6275 0.1174 0.6275 H
0.1174 0.6275 0.6275 H
0.6275 0.6275 0.6275 H
0.3725 0.3725 0.8826 H
0.3725 0.8826 0.3725 H
0.8826 0.3725 0.3725 H
0.3725 0.3725 0.3725 H
```

Calculated values
Formation energy from the elements   -559 kJ/mol of formula units
Symmetry   No. 225

A geometry-optimized Er3Ni2 structure, computed with GGA-PBE.

```
Er3Ni2
1.0
-5.7587 -3.8168 1.8194
2.2317 -6.6328 1.4374
0.0925 -0.7017 7.1091
Er Ni
9 6
direct
0.5000 0.5000 0.5000 Er
0.2924 0.2924 0.2924 Er
0.7076 0.7076 0.7076 Er
0.8380 0.3287 0.1126 Er
0.3287 0.1126 0.8380 Er
0.1126 0.8380 0.3287 Er
0.1620 0.6713 0.8874 Er
0.6713 0.8874 0.1620 Er
0.8874 0.1620 0.6713 Er
0.4600 0.6440 0.0869 Ni
0.6440 0.0869 0.4600 Ni
0.0869 0.4600 0.6440 Ni
0.5400 0.3560 0.9131 Ni
0.3560 0.9131 0.5400 Ni
0.9131 0.5400 0.3560 Ni
```

Calculated values
Formation energy from the elements   -185 kJ/mol of formula units
Symmetry   No. 148

A geometry-optimized Na3Li2AlSi2O8 structure, computed with GGA-PBE.

```
Na3Li2AlSi2O8
1.0
7.1269 -7.4399 0.0000
7.1269 7.4399 0.0000
0.0000 0.0000 7.1538
Na Li Al Si O
12 8 4 8 32
direct
0.8773 0.8773 0.0000 Na
0.3773 0.3773 0.5000 Na
0.1227 0.1227 0.0000 Na
0.6227 0.6227 0.5000 Na
0.0976 0.4024 0.7500 Na
0.4024 0.0976 0.2500 Na
0.9024 0.5976 0.2500 Na
0.5976 0.9024 0.7500 Na
0.8658 0.1342 0.2479 Na
0.1342 0.8658 0.7521 Na
0.6342 0.3658 0.7479 Na
0.3658 0.6342 0.2521 Na
0.1630 0.6483 0.5141 Li
0.6483 0.1630 0.4859 Li
0.1483 0.6630 0.0141 Li
0.6630 0.1483 0.9859 Li
0.8370 0.3517 0.4859 Li
0.3517 0.8370 0.5141 Li
0.8517 0.3370 0.9859 Li
0.3370 0.8517 0.0141 Li
0.8381 0.8381 0.5000 Al
0.3381 0.3381 0.0000 Al
0.1619 0.1619 0.5000 Al
0.6619 0.6619 0.0000 Al
0.0981 0.9019 0.2847 Si
0.9019 0.0981 0.7153 Si
0.4019 0.5981 0.7847 Si
0.5981 0.4019 0.2153 Si
0.9045 0.5955 0.7500 Si
0.5955 0.9045 0.2500 Si
0.0955 0.4045 0.2500 Si
0.4045 0.0955 0.7500 Si